== Wanted ==
Please transcribe everything further below character by character.

== File ==
-- begin --
{"formula": "C62H139O36P5S8", "method": "ωB97M-V/def2-TZVPD", "elements": ["C", "C", "C", "S", "O", "O", "C", "H", "H", "H", "H", "H", "H", "H", "H", "C", "C", "C", "S", "O", "O", "C", "H", "H", "H", "H", "H", "H", "H", "H", "C", "C", "C", "S", "O", "O", "C", "H", "H", "H", "H", "H", "H", "H", "H", "C", "C", "C", "S", "O", "O", "C", "H", "H", "H", "H", "H", "H", "H", "H", "C", "C", "C", "S", "O", "O", "C", "H", "H", "H", "H", "H", "H", "H", "H", "C", "C", "C", "S", "O", "O", "C", "H", "H", "H", "H", "H", "H", "H", "H", "C", "C", "C", "S", "O", "O", "C", "H", "H", "H", "H", "H", "H", "H", "H", "C", "C", "C", "S", "O", "O", "C", "H", "H", "H", "H", "H", "H", "H", "H", "C", "C", "O", "P", "O", "O", "C", "C", "O", "C", "C", "H", "H", "H", "H", "H", "H", "H", "H", "H", "H", "H", "H", "H", "H", "H", "C", "C", "O", "P", "O", "O", "C", "C", "O", "C", "C", "H", "H", "H", "H", "H", "H", "H", "H", "H", "H", "H", "H", "H", "H", "H", "C", "C", "O", "P", "O", "O", "C", "C", "O", "C", "C", "H", "H", "H", "H", "H", "H", "H", "H", "H", "H", "H", "H", "H", "H", "H", "C", "C", "O", "P", "O", "O", "C", "C", "O", "C", "C", "H", "H", "H", "H", "H", "H", "H", "H", "H", "H", "H", "H", "H", "H", "H", "C", "C", "O", "P", "O", "O", "C", "C", "O", "C", "C", "H", "H", "H", "H", "H", "H", "H", "H", "H", "H", "H", "H", "H", "H", "H"], "positions_angstrom": [[-4.22106, 2.91203, 6.08351], [-4.24334, 4.38404, 5.80388], [-4.38288, 5.16825, 7.11611], [-5.45995, 4.18721, 8.26646], [-6.81272, 4.65327, 8.29350], [-4.73499, 3.82993, 9.51013], [-5.40095, 2.71074, 7.12824], [-3.24518, 2.58991, 6.44684], [-4.48022, 2.32342, 5.20347], [-5.13452, 4.61532, 5.22042], [-3.45721, 4.66536, 5.10320], [-4.92206, 6.11344, 7.05289], [-3.43295, 5.44302, 7.57463], [-6.33000, 2.81601, 6.56798], [-5.38968, 1.78990, 7.71137], [4.99636, 3.74122, 3.78604], [5.18492, 2.77136, 2.57463], [3.84335, 2.22015, 2.14902], [2.83553, 2.10662, 3.67346], [2.69105, 0.69032, 4.11875], [1.74699, 2.99653, 3.52766], [4.15463, 2.91347, 4.74942], [4.43336, 4.61764, 3.46508], [5.94366, 4.13312, 4.15633], [5.94602, 2.00122, 2.70000], [5.50030, 3.44511, 1.77795], [3.91309, 1.21913, 1.72334], [3.37320, 2.85451, 1.39758], [4.73311, 2.09159, 5.17131], [3.55599, 3.42755, 5.50138], [1.14615, -4.79010, -1.31197], [2.73416, -4.47453, -1.20140], [3.50717, -5.83110, -1.15424], [2.24747, -7.20157, -1.35787], [1.79036, -7.66359, -0.07724], [2.72987, -8.16589, -2.37832], [0.95636, -6.08291, -2.05571], [0.69675, -3.96793, -1.86892], [0.69148, -4.90718, -0.32827], [2.95173, -3.78634, -0.38460], [3.02120, -3.90471, -2.08515], [4.02497, -6.15282, -0.25065], [4.08712, -6.04739, -2.05143], [-0.05860, -6.47020, -1.96650], [1.25473, -5.92567, -3.09222], [-6.41502, 0.94203, 3.18885], [-6.88623, -0.40660, 2.67300], [-6.21810, -0.55287, 1.28433], [-6.50745, 1.08459, 0.48555], [-7.69892, 0.94974, -0.37850], [-5.19496, 1.50821, 0.02584], [-6.93604, 1.93618, 2.15111], [-5.32821, 1.00645, 3.24183], [-6.83354, 1.18441, 4.16567], [-7.96454, -0.55120, 2.60640], [-6.40280, -1.21003, 3.22877], [-6.71077, -1.24969, 0.60622], [-5.14277, -0.72403, 1.33391], [-7.97741, 2.22513, 2.29306], [-6.34086, 2.84873, 2.18431], [5.83040, -4.45687, -4.97753], [6.99796, -3.49449, -5.20825], [6.89392, -2.34202, -4.13784], [5.10925, -2.03104, -3.90409], [4.77154, -0.83846, -4.60186], [4.70001, -2.20079, -2.50865], [4.57092, -3.50419, -4.79612], [5.97750, -4.80780, -3.95610], [5.62929, -5.19329, -5.75556], [6.93272, -3.12035, -6.22995], [7.87897, -4.13565, -5.23709], [7.39981, -1.39628, -4.33209], [7.19750, -2.72904, -3.16513], [4.12831, -3.18343, -5.73915], [3.63795, -3.89706, -4.39199], [1.34252, -5.01654, 3.58457], [1.63879, -3.72150, 2.93237], [1.40077, -2.64390, 4.06221], [2.12233, -3.51435, 5.58326], [1.14328, -3.32313, 6.63414], [3.52057, -3.12974, 5.74928], [2.02236, -5.23338, 4.88134], [1.62742, -5.87843, 2.98119], [0.25866, -5.01173, 3.69997], [1.01486, -3.47594, 2.07302], [2.66639, -3.66533, 2.57323], [0.33407, -2.49825, 4.23263], [1.96504, -1.71227, 4.10401], [1.56256, -5.99810, 5.50736], [3.06386, -5.48201, 4.67745], [-0.76969, 0.30911, 7.31142], [-0.47910, 0.85660, 8.68481], [-0.47418, 2.45294, 8.61864], [0.33694, 2.74916, 6.98985], [1.78353, 3.09087, 7.05488], [-0.60252, 3.59989, 6.22674], [0.20759, 1.00744, 6.32649], [-1.79942, 0.56490, 7.06173], [-0.62955, -0.76762, 7.21600], [0.51475, 0.57086, 9.02934], [-1.26543, 0.65711, 9.41280], [0.07863, 2.96325, 9.40736], [-1.50072, 2.81855, 8.59295], [1.24773, 0.68964, 6.39859], [-0.09139, 1.01351, 5.27832], [0.46586, 4.10469, 0.42939], [-0.32611, 3.80235, -0.79687], [0.58720, 3.32791, -1.86749], [2.24573, 4.09940, -1.54899], [2.55781, 5.09888, -2.60808], [3.10772, 2.90366, -1.26199], [1.67584, 4.87390, 0.05674], [0.82672, 3.19473, 0.90879], [-0.16523, 4.62496, 1.14990], [-0.91403, 4.65687, -1.13188], [-1.06280, 3.01592, -0.63272], [0.30130, 3.67101, -2.86180], [0.69859, 2.24370, -1.88119], [1.37650, 5.88309, -0.22616], [2.58624, 4.95239, 0.65097], [-8.09406, -4.53419, -5.93357], [-6.90929, -5.19275, -5.16122], [-7.00032, -4.89228, -3.76854], [-6.01282, -3.76571, -3.10430], [-6.39087, -3.48686, -1.69338], [-6.25382, -2.51473, -4.14562], [-5.55388, -1.26735, -4.21243], [-6.00595, -0.36735, -3.00178], [-4.57389, -4.41124, -3.34019], [-4.30928, -5.54395, -2.56468], [-2.83863, -6.03578, -2.73969], [-8.07478, -3.45846, -5.75884], [-7.90107, -4.78094, -6.97758], [-9.07500, -4.83840, -5.56844], [-6.98758, -6.27594, -5.25425], [-5.96141, -4.78939, -5.51749], [-4.48247, -1.44360, -4.30795], [-5.88195, -0.68771, -5.07527], [-5.70972, -0.84849, -2.06965], [-5.51126, 0.59918, -2.90582], [-7.05573, -0.08855, -2.91043], [-4.59756, -5.41618, -1.52129], [-4.85903, -6.36471, -3.02538], [-2.63579, -6.35612, -3.76162], [-2.13920, -5.26928, -2.40597], [-2.70425, -6.96998, -2.19442], [6.74479, 0.96393, -1.17905], [7.11137, -0.35015, -0.51022], [7.08347, 0.02367, 0.89983], [8.27537, -0.55962, 1.84802], [9.44653, -1.10794, 1.14175], [8.59625, 0.68821, 2.84036], [9.19351, 1.84435, 2.35046], [9.81312, 2.44916, 3.63880], [7.59116, -1.65156, 2.84595], [6.37692, -1.21471, 3.48168], [5.18041, -1.85100, 2.77900], [7.52329, 1.69549, -0.96259], [6.82408, 0.67824, -2.22795], [5.75608, 1.38543, -0.99771], [6.47165, -1.21304, -0.69540], [7.99916, -0.86367, -0.87932], [9.96020, 1.70864, 1.58767], [8.44224, 2.34244, 1.73761], [10.14982, 3.48285, 3.55992], [9.14792, 2.30602, 4.49034], [10.72111, 1.87939, 3.83628], [6.45293, -1.64764, 4.47913], [6.22645, -0.13867, 3.56872], [4.98087, -1.37453, 1.81917], [5.38267, -2.89145, 2.52474], [4.27641, -1.86148, 3.38792], [-0.02435, 7.44154, -2.37226], [-1.30200, 8.08684, -1.82981], [-2.43571, 7.53866, -2.43010], [-3.87266, 7.90125, -1.77746], [-4.21591, 9.30667, -1.65421], [-4.84968, 6.91250, -2.67757], [-5.04306, 7.08335, -4.06496], [-5.86965, 8.30520, -4.44983], [-3.82479, 7.10407, -0.38112], [-3.70774, 5.66712, -0.34565], [-4.04015, 5.21446, 1.01282], [0.81822, 7.48221, -1.68197], [-0.23571, 6.38958, -2.56415], [0.34583, 7.91040, -3.28398], [-1.36089, 7.87658, -0.76189], [-1.29557, 9.16032, -2.01875], [-4.05074, 7.13749, -4.51270], [-5.51279, 6.13744, -4.33457], [-5.95968, 8.28324, -5.53588], [-6.83579, 8.27492, -3.94607], [-5.39907, 9.18413, -4.00923], [-4.38071, 5.18920, -1.05754], [-2.66547, 5.39458, -0.51145], [-3.95020, 4.13210, 1.10500], [-3.51380, 5.71025, 1.82846], [-5.10598, 5.41298, 1.12548], [3.51079, -4.41029, -8.29800], [2.12996, -3.77090, -8.41736], [1.95205, -2.96333, -7.31484], [1.08241, -3.51492, -6.03612], [1.26376, -4.98152, -5.69446], [1.67873, -2.54668, -4.88216], [1.51046, -1.17325, -4.84170], [0.62375, -0.91077, -3.64925], [-0.44248, -3.03216, -6.23861], [-1.48401, -3.97408, -6.26789], [-2.90664, -3.40669, -6.25602], [3.53740, -5.18763, -9.06163], [4.31693, -3.69795, -8.47359], [3.54330, -4.93900, -7.34536], [2.14193, -3.16959, -9.32641], [1.38226, -4.54673, -8.58206], [2.50408, -0.72514, -4.83977], [0.99253, -0.86795, -5.75089], [0.34911, 0.11656, -3.41001], [-0.27215, -1.53133, -3.63019], [1.1
-- stop --

== Solution ==
{"formula": "C62H139O36P5S8", "method": "ωB97M-V/def2-TZVPD", "elements": ["C", "C", "C", "S", "O", "O", "C", "H", "H", "H", "H", "H", "H", "H", "H", "C", "C", "C", "S", "O", "O", "C", "H", "H", "H", "H", "H", "H", "H", "H", "C", "C", "C", "S", "O", "O", "C", "H", "H", "H", "H", "H", "H", "H", "H", "C", "C", "C", "S", "O", "O", "C", "H", "H", "H", "H", "H", "H", "H", "H", "C", "C", "C", "S", "O", "O", "C", "H", "H", "H", "H", "H", "H", "H", "H", "C", "C", "C", "S", "O", "O", "C", "H", "H", "H", "H", "H", "H", "H", "H", "C", "C", "C", "S", "O", "O", "C", "H", "H", "H", "H", "H", "H", "H", "H", "C", "C", "C", "S", "O", "O", "C", "H", "H", "H", "H", "H", "H", "H", "H", "C", "C", "O", "P", "O", "O", "C", "C", "O", "C", "C", "H", "H", "H", "H", "H", "H", "H", "H", "H", "H", "H", "H", "H", "H", "H", "C", "C", "O", "P", "O", "O", "C", "C", "O", "C", "C", "H", "H", "H", "H", "H", "H", "H", "H", "H", "H", "H", "H", "H", "H", "H", "C", "C", "O", "P", "O", "O", "C", "C", "O", "C", "C", "H", "H", "H", "H", "H", "H", "H", "H", "H", "H", "H", "H", "H", "H", "H", "C", "C", "O", "P", "O", "O", "C", "C", "O", "C", "C", "H", "H", "H", "H", "H", "H", "H", "H", "H", "H", "H", "H", "H", "H", "H", "C", "C", "O", "P", "O", "O", "C", "C", "O", "C", "C", "H", "H", "H", "H", "H", "H", "H", "H", "H", "H", "H", "H", "H", "H", "H"], "positions_angstrom": [[-4.22106, 2.91203, 6.08351], [-4.24334, 4.38404, 5.80388], [-4.38288, 5.16825, 7.11611], [-5.45995, 4.18721, 8.26646], [-6.81272, 4.65327, 8.29350], [-4.73499, 3.82993, 9.51013], [-5.40095, 2.71074, 7.12824], [-3.24518, 2.58991, 6.44684], [-4.48022, 2.32342, 5.20347], [-5.13452, 4.61532, 5.22042], [-3.45721, 4.66536, 5.10320], [-4.92206, 6.11344, 7.05289], [-3.43295, 5.44302, 7.57463], [-6.33000, 2.81601, 6.56798], [-5.38968, 1.78990, 7.71137], [4.99636, 3.74122, 3.78604], [5.18492, 2.77136, 2.57463], [3.84335, 2.22015, 2.14902], [2.83553, 2.10662, 3.67346], [2.69105, 0.69032, 4.11875], [1.74699, 2.99653, 3.52766], [4.15463, 2.91347, 4.74942], [4.43336, 4.61764, 3.46508], [5.94366, 4.13312, 4.15633], [5.94602, 2.00122, 2.70000], [5.50030, 3.44511, 1.77795], [3.91309, 1.21913, 1.72334], [3.37320, 2.85451, 1.39758], [4.73311, 2.09159, 5.17131], [3.55599, 3.42755, 5.50138], [1.14615, -4.79010, -1.31197], [2.73416, -4.47453, -1.20140], [3.50717, -5.83110, -1.15424], [2.24747, -7.20157, -1.35787], [1.79036, -7.66359, -0.07724], [2.72987, -8.16589, -2.37832], [0.95636, -6.08291, -2.05571], [0.69675, -3.96793, -1.86892], [0.69148, -4.90718, -0.32827], [2.95173, -3.78634, -0.38460], [3.02120, -3.90471, -2.08515], [4.02497, -6.15282, -0.25065], [4.08712, -6.04739, -2.05143], [-0.05860, -6.47020, -1.96650], [1.25473, -5.92567, -3.09222], [-6.41502, 0.94203, 3.18885], [-6.88623, -0.40660, 2.67300], [-6.21810, -0.55287, 1.28433], [-6.50745, 1.08459, 0.48555], [-7.69892, 0.94974, -0.37850], [-5.19496, 1.50821, 0.02584], [-6.93604, 1.93618, 2.15111], [-5.32821, 1.00645, 3.24183], [-6.83354, 1.18441, 4.16567], [-7.96454, -0.55120, 2.60640], [-6.40280, -1.21003, 3.22877], [-6.71077, -1.24969, 0.60622], [-5.14277, -0.72403, 1.33391], [-7.97741, 2.22513, 2.29306], [-6.34086, 2.84873, 2.18431], [5.83040, -4.45687, -4.97753], [6.99796, -3.49449, -5.20825], [6.89392, -2.34202, -4.13784], [5.10925, -2.03104, -3.90409], [4.77154, -0.83846, -4.60186], [4.70001, -2.20079, -2.50865], [4.57092, -3.50419, -4.79612], [5.97750, -4.80780, -3.95610], [5.62929, -5.19329, -5.75556], [6.93272, -3.12035, -6.22995], [7.87897, -4.13565, -5.23709], [7.39981, -1.39628, -4.33209], [7.19750, -2.72904, -3.16513], [4.12831, -3.18343, -5.73915], [3.63795, -3.89706, -4.39199], [1.34252, -5.01654, 3.58457], [1.63879, -3.72150, 2.93237], [1.40077, -2.64390, 4.06221], [2.12233, -3.51435, 5.58326], [1.14328, -3.32313, 6.63414], [3.52057, -3.12974, 5.74928], [2.02236, -5.23338, 4.88134], [1.62742, -5.87843, 2.98119], [0.25866, -5.01173, 3.69997], [1.01486, -3.47594, 2.07302], [2.66639, -3.66533, 2.57323], [0.33407, -2.49825, 4.23263], [1.96504, -1.71227, 4.10401], [1.56256, -5.99810, 5.50736], [3.06386, -5.48201, 4.67745], [-0.76969, 0.30911, 7.31142], [-0.47910, 0.85660, 8.68481], [-0.47418, 2.45294, 8.61864], [0.33694, 2.74916, 6.98985], [1.78353, 3.09087, 7.05488], [-0.60252, 3.59989, 6.22674], [0.20759, 1.00744, 6.32649], [-1.79942, 0.56490, 7.06173], [-0.62955, -0.76762, 7.21600], [0.51475, 0.57086, 9.02934], [-1.26543, 0.65711, 9.41280], [0.07863, 2.96325, 9.40736], [-1.50072, 2.81855, 8.59295], [1.24773, 0.68964, 6.39859], [-0.09139, 1.01351, 5.27832], [0.46586, 4.10469, 0.42939], [-0.32611, 3.80235, -0.79687], [0.58720, 3.32791, -1.86749], [2.24573, 4.09940, -1.54899], [2.55781, 5.09888, -2.60808], [3.10772, 2.90366, -1.26199], [1.67584, 4.87390, 0.05674], [0.82672, 3.19473, 0.90879], [-0.16523, 4.62496, 1.14990], [-0.91403, 4.65687, -1.13188], [-1.06280, 3.01592, -0.63272], [0.30130, 3.67101, -2.86180], [0.69859, 2.24370, -1.88119], [1.37650, 5.88309, -0.22616], [2.58624, 4.95239, 0.65097], [-8.09406, -4.53419, -5.93357], [-6.90929, -5.19275, -5.16122], [-7.00032, -4.89228, -3.76854], [-6.01282, -3.76571, -3.10430], [-6.39087, -3.48686, -1.69338], [-6.25382, -2.51473, -4.14562], [-5.55388, -1.26735, -4.21243], [-6.00595, -0.36735, -3.00178], [-4.57389, -4.41124, -3.34019], [-4.30928, -5.54395, -2.56468], [-2.83863, -6.03578, -2.73969], [-8.07478, -3.45846, -5.75884], [-7.90107, -4.78094, -6.97758], [-9.07500, -4.83840, -5.56844], [-6.98758, -6.27594, -5.25425], [-5.96141, -4.78939, -5.51749], [-4.48247, -1.44360, -4.30795], [-5.88195, -0.68771, -5.07527], [-5.70972, -0.84849, -2.06965], [-5.51126, 0.59918, -2.90582], [-7.05573, -0.08855, -2.91043], [-4.59756, -5.41618, -1.52129], [-4.85903, -6.36471, -3.02538], [-2.63579, -6.35612, -3.76162], [-2.13920, -5.26928, -2.40597], [-2.70425, -6.96998, -2.19442], [6.74479, 0.96393, -1.17905], [7.11137, -0.35015, -0.51022], [7.08347, 0.02367, 0.89983], [8.27537, -0.55962, 1.84802], [9.44653, -1.10794, 1.14175], [8.59625, 0.68821, 2.84036], [9.19351, 1.84435, 2.35046], [9.81312, 2.44916, 3.63880], [7.59116, -1.65156, 2.84595], [6.37692, -1.21471, 3.48168], [5.18041, -1.85100, 2.77900], [7.52329, 1.69549, -0.96259], [6.82408, 0.67824, -2.22795], [5.75608, 1.38543, -0.99771], [6.47165, -1.21304, -0.69540], [7.99916, -0.86367, -0.87932], [9.96020, 1.70864, 1.58767], [8.44224, 2.34244, 1.73761], [10.14982, 3.48285, 3.55992], [9.14792, 2.30602, 4.49034], [10.72111, 1.87939, 3.83628], [6.45293, -1.64764, 4.47913], [6.22645, -0.13867, 3.56872], [4.98087, -1.37453, 1.81917], [5.38267, -2.89145, 2.52474], [4.27641, -1.86148, 3.38792], [-0.02435, 7.44154, -2.37226], [-1.30200, 8.08684, -1.82981], [-2.43571, 7.53866, -2.43010], [-3.87266, 7.90125, -1.77746], [-4.21591, 9.30667, -1.65421], [-4.84968, 6.91250, -2.67757], [-5.04306, 7.08335, -4.06496], [-5.86965, 8.30520, -4.44983], [-3.82479, 7.10407, -0.38112], [-3.70774, 5.66712, -0.34565], [-4.04015, 5.21446, 1.01282], [0.81822, 7.48221, -1.68197], [-0.23571, 6.38958, -2.56415], [0.34583, 7.91040, -3.28398], [-1.36089, 7.87658, -0.76189], [-1.29557, 9.16032, -2.01875], [-4.05074, 7.13749, -4.51270], [-5.51279, 6.13744, -4.33457], [-5.95968, 8.28324, -5.53588], [-6.83579, 8.27492, -3.94607], [-5.39907, 9.18413, -4.00923], [-4.38071, 5.18920, -1.05754], [-2.66547, 5.39458, -0.51145], [-3.95020, 4.13210, 1.10500], [-3.51380, 5.71025, 1.82846], [-5.10598, 5.41298, 1.12548], [3.51079, -4.41029, -8.29800], [2.12996, -3.77090, -8.41736], [1.95205, -2.96333, -7.31484], [1.08241, -3.51492, -6.03612], [1.26376, -4.98152, -5.69446], [1.67873, -2.54668, -4.88216], [1.51046, -1.17325, -4.84170], [0.62375, -0.91077, -3.64925], [-0.44248, -3.03216, -6.23861], [-1.48401, -3.97408, -6.26789], [-2.90664, -3.40669, -6.25602], [3.53740, -5.18763, -9.06163], [4.31693, -3.69795, -8.47359], [3.54330, -4.93900, -7.34536], [2.14193, -3.16959, -9.32641], [1.38226, -4.54673, -8.58206], [2.50408, -0.72514, -4.83977], [0.99253, -0.86795, -5.75089], [0.34911, 0.11656, -3.41001], [-0.27215, -1.53133, -3.63019], [1.1